Mining Industry
11 m. | 2019-11-28Strategy development
T he need to restructure the Armenian economy has prompted a shift in understanding that growth should be based on surplus value. When studying the economy of the Republic of Armenia its becomes clear, that mainly non-export sectors (construction, services and so on) record an active growth. Whereas the key to a competitive economy is the development of export. This trend has recently somewhat been neutralized by the growth in the manufacturing industry. This has been accompanied by a decline in the mining industry.
Not underestimating the importance of other economic sectors, it should be emphasized that mining is still significant for Armenia’s economy particularly, the main part of the foreign direct investment (FDI). This investment is directed to the mining industry, providing jobs and helps solving social problems with its ability to sustain a decent salary.
Mining should be observed within the whole production chain, from raw material extraction to recycling and creating additional value. According to statistics, in 2018, the share of mining (mining industry and open pit exploitation) in the GDP made up 2.8% or 166 bil AMD, with mining’s overall volume decreasing by about 14%. For instance, in Canada the share of mining in within the GDP is about 6% and in Georgia it doesn’t reach 1%. Armenia is among the first 25 countries out of 182 with its mining index included in the International Council on Mining and Metals’ report on “Role of mining in national economies” [1]. The index shows that many of the world’s mining countries go on relying on their natural resources as a major driver of economic development.
Environmental damage and health issues arising from mining should always be taken into account. Currently, the Ministry of Health cooperates with the World Health Organization, to receive methodological support for conducting research into the possible environmental spill out from mining in Armenia. According to the data of the Armenian National Institute of Health report on “Health System Performance Assessment, 2018”, malignant tumors, which were the second leading cause of death in 2017, increased by about 20% within the group of non-infectious diseases in the five years preceding 2018 [2]. The first cause for death are circulatory system diseases. Compared to the preceding years, the number of patients with malignant tumors diagnosed for the first time in life at oncological establishments as well as the number of patients under dispensary control at the end of the year had also increased. Though, it’s difficult to link mining as the main reason for the above mentioned trends but it has raised suspicion about the after effects of mining.
Currently there are about 871 mines with useful minerals, as well as 580 different metal ore’s and more than 130 different types of useful minerals (about 25 of which are metallic) recorded. There are 21 tailing ponds of waste accumulation from the exploitation of the minerals. There 27 metal ore mining companies in the country, for the operation of which there are 28 permits [3].
Armenia’s Mining Statistics
B etween 2014-2018, the flow of Foreign Direct Investments in the field of mining was $365 mil. or just 30% of the total FDI. The geographical distribution is as follows: Russia, the United Kingdom, Jersey (Channel Islands), Cyprus, the British Virgin Islands. Between 2017-2018, the flow of both total investments and FDIs have been reduced.
## Here the article breaks off for calculated molecules
The following is a quantum chemistry calculation of C78H142F14N18O31S14 as an isolated structure, from the OMol25 dataset.

The geometry in XYZ format:
```
297
Properties=species:S:1:pos:R:3:mulliken_charge:R:1
C -5.722 -3.524 6.608 -1.344
C -6.986 -3.143 5.929 -0.486
C -6.861 -2.774 4.457 0.130
C -8.062 -2.115 3.790 -0.988
N -7.758 -1.800 2.295 0.401
C -8.878 -0.982 1.745 -0.446
C -8.480 0.550 2.083 -0.950
C -7.073 0.402 2.684 -0.606
C -6.565 -0.920 2.191 -0.402
C -7.667 -3.054 1.496 -1.077
H -5.016 -2.709 6.544 0.338
H -5.328 -4.457 6.205 0.335
H -5.983 -3.632 7.651 0.416
H -7.416 -2.226 6.439 0.322
H -7.694 -4.002 6.005 0.324
H -6.515 -3.716 4.007 0.225
H -6.030 -2.063 4.452 0.041
H -8.281 -1.189 4.268 0.424
H -8.940 -2.756 3.826 0.443
H -8.945 -1.201 0.696 0.458
H -9.794 -1.246 2.314 0.301
H -8.603 1.084 1.192 0.385
H -9.171 0.941 2.752 0.364
H -6.292 1.133 2.458 0.374
H -7.019 0.450 3.758 0.465
H -6.351 -0.940 1.143 0.644
H -5.684 -1.323 2.635 -0.368
H -7.578 -2.774 0.455 0.541
H -8.558 -3.656 1.574 0.383
H -6.772 -3.669 1.742 0.274
C 7.362 1.707 11.484 -1.145
C 5.934 1.943 12.095 -0.828
C 4.808 1.295 11.252 -0.234
C 3.482 1.614 12.033 -0.945
N 2.209 1.284 11.271 0.224
C 1.098 1.070 12.239 -0.729
C 1.361 -0.275 12.850 -0.687
C 2.212 -1.042 11.835 -0.289
C 2.244 -0.121 10.664 -0.953
C 1.819 2.307 10.236 -1.097
H 8.060 1.913 12.311 0.330
H 7.419 2.535 10.812 0.308
H 7.632 0.752 10.954 0.317
H 5.685 2.977 12.184 0.421
H 5.880 1.653 13.153 0.396
H 4.970 0.234 11.080 0.399
H 4.929 1.769 10.301 0.319
H 3.363 2.738 12.195 0.327
H 3.385 1.167 13.043 0.445
H 0.260 0.973 11.636 0.526
H 1.030 1.767 13.028 0.347
H 0.359 -0.776 12.959 0.345
H 1.702 -0.227 13.883 0.373
H 1.683 -1.976 11.699 0.392
H 3.278 -1.287 12.148 0.246
H 1.354 -0.183 9.997 0.500
H 3.090 -0.237 10.058 0.502
H 1.247 3.086 10.715 0.392
H 1.188 1.825 9.509 0.337
H 2.666 2.765 9.750 0.456
C -11.174 -6.562 -13.073 -0.773
N -10.519 -5.780 -12.002 0.024
C -9.416 -5.031 -12.292 -0.325
C -8.771 -4.221 -11.398 -0.643
C -9.251 -4.169 -10.102 1.067
C -10.242 -5.003 -9.774 -0.250
C -10.897 -5.788 -10.722 -0.474
C -8.489 -3.240 -9.259 0.882
C -7.990 -3.677 -8.029 -1.108
C -7.015 -2.959 -7.422 -0.556
N -6.505 -1.855 -8.071 0.514
C -6.926 -1.447 -9.319 -0.192
C -8.018 -2.087 -9.846 -0.804
C -5.451 -1.163 -7.304 -0.684
H -12.192 -6.243 -13.127 0.379
H -11.077 -7.623 -12.948 0.378
H -10.561 -6.337 -13.927 0.226
H -9.133 -5.242 -13.316 0.396
H -7.812 -3.701 -11.642 0.181
H -10.667 -5.001 -8.715 0.380
H -11.675 -6.465 -10.401 0.450
H -8.408 -4.614 -7.700 0.424
H -6.697 -3.158 -6.391 0.614
H -6.456 -0.579 -9.793 0.432
H -8.256 -1.958 -10.925 0.763
H -4.524 -1.164 -7.862 0.467
H -5.380 -1.575 -6.323 -0.307
H -5.678 -0.131 -7.250 0.552
C 4.905 -7.627 -7.599 -0.832
N 3.806 -7.962 -6.700 0.119
C 2.538 -7.805 -7.099 -0.705
C 1.538 -7.966 -6.202 -0.521
C 1.774 -8.222 -4.865 1.053
C 3.039 -8.356 -4.417 -0.503
C 4.045 -8.222 -5.389 -0.292
C 0.570 -8.246 -3.954 1.105
C -0.599 -7.592 -4.281 -0.666
Mining industry encourages activity outside of Yerevan and promotes decentralization of proportionate development. According to the Extractive Industries Transparency Initiative (EITI) report for 2016-2017, metal mining has provided accordingly 6.2% and 5.6% employment between 2016-2017. Only 3.6% and 3.9% of the employed staff in this sector was in Yerevan, while the majority of the employees, about 90%, were in outlying regions of Armenia such as Syuniq (70%) and Lori (18%) between 2016-2017. In 2017, the average salary in this field was 295,257 AMD, which was by 29.7% more compared to the 2016. In 2018, the average salary for the organizations having 1 or more employees was 644,226 AMD, and for those having 50 or more the salary was 711,720 AMD. Between 2016-2017, the mining industry provided 19% and 17% of formal jobs in the Syuniq region providing about 5600 employee opportunities for both years. Thereby, Syuniq and Lori regions’ shares in the industrial production amounts to 16.5% and 8.9% respectively with the share of Yerevan at 40.8%. Mining contributes to the balance in regional development though consequently it raises many problems.
Impact on the environment
I n 2018, 72% of revenues within the state budget are taxes paid by a 1000 taxpayers, where 10% of taxes paid has fallen to the major mining companies [4]. Besides the main taxes, the mining companies also pay royalties, environmental payments, as well as pay taxes to local budgets.
The distribution of environmental taxes are for emitting hazardous substances into the environment (into air and water basin), disposal of production waste into landfills, production and consumption of products that can cause damage to the environment. Ararat occupies the leading place with 37.6% for having the most environmental effects than it is followed by the regions of Vayots Dzor, Kotayq and Yerevan. In 2018, these taxes decreased by 18% in Syuniq and by 2.5 times in Lori compared to 2017 with environmental charges increasing in both regions [5].
Many of these payments are for water use, exhausting reserves of non-metallic minerals, underground fresh and mineral waters and reserves of extracted salt and for use of bio resources. We can see on the Statistical Committee’s data [6], that according to the emissions of hazardous substances into the atmosphere, the mobile sources have the highest share of atmosphere emissions which rakes in at more than 50%, next are the electricity production emissions, as well as emissions caused by electricity and water supply.
As a result of mining industry, the emissions of hazardous substances into the atmosphere are almost 13% of total emissions. The chart shows that emissions caused by the mining industry has decreased and the emissions caused by the processing industry has increased, which is probably due to the growth in the respective fields.
Export Statistics of Basic Minerals
T he volume of minerals in export structure has decreased, however minerals continue to occupy a large place in Armenia’s export structure. In 2018, the share of minerals, metals and production, precious stones accounted for almost half of the total export. Particularly, compared to the results of 2017, the volume of minerals in export structure reduced by 3% reaching 27.4% in 2018. The volume of minerals in imports is at 14.6%, which also reduced by 1%. In 2018, the import volume of mineral production increased by 11.4% compared to 2017, and also the export volume of mineral production was reduced by 4.7% compared to the 2017.
The export volume of minerals also decreased as a result of the decline in copper extraction, which was due to the creation around the “Vallex Group” companies. This stopped the work of the Teghout mining and enrichment plant. This was because of the non-compliance with the Armenian and international standards of tailing dam’s environmental indicators and the stopping of work at the Copper-Molybdenum Combine of Alaverdi. All these affected the extraction, export volumes and taxes being paid. Hence, in 2018, the volumes of copper concentrate extraction reduced by 26% compared to 2017. The average price for one ton of exported copper was about $2000 in 2017, and was $1237 in 2018. The physical volumes of extracted copper have increased by about 3 times for the last 5 years, as a result of which Armenia’s economic dependence on external factors, such as international copper prices and behavior of major consumers, has increased. In 2018 the extraction volume of products made from copper also reduced by 31% in quantitative terms and by 13% in terms of value compared to the 2017 results.
The next one is the zinc concentrate, the production volume of which grew by 12.3% for the period taken (2017, 2018). The extraction volumes also grew which may be due to the increase in demand. So, in 2018 zinc extraction volume grew by 2% compared to that of 2017, whereas the volume of copper extraction grew by 22%. In 2018, the production volume of molybdenum concentrate grew by 1.4% and the ferromolybdenum by 10.4% compared to that of 2017. Consequently, molybdenum extraction was reduced by double last year, however in terms of customs value it decreased by about 24%.
Armenian mineral products are basically exported to Bulgaria, Switzerland, China, Romania, Georgia, Russia, Canada, the United States, Belarus, Belgium and other countries. In 2018, most of the copper, about 41% was exported to Bulgaria, the zinc was exported only to Belgium, whereas in 2017, the zinc was also exported to South Korea.
Summing up the above mentioned results, we can note that although the share of mining within the GDP is small, it has a significant share within the export structure, which in turn ensures foreign currency offer.
In order to understand the approximate statistics of domestic consumption, the volumes of copper concentrate production and extraction have been singled out as an example. In 2018, 317.4 thousand tons of copper concentrate was produced and 424, 825 tons was extracted. In 2018, copper wasn’t imported to Armenia. Studying the statistics of the last 8 years, it turns out that the produced copper is only exported. And here arises the necessity to develop the opportunities of recycling and using raw materials.
Still in 2017, the World Bank presented a report on the mining industry, where the economic growth prospects in this area and the necessity for the development of national mining policy are singled out. In the RA Government program, the development of strategy and relevant legislative regulations are one of the steps to ensure sustainable development of the mining industry. Among the steps taken to regulate the field and to make it transparent was the membership to the Extractive Industries Transparency Initiative (EITI) in 2017. Running a transparent and responsible activity is related to the investment field’s of improvement. Moreover, on the one hand there are projects, related to the field’s regulation, which refer to the suspension of issuance of new mining licenses for metallic minerals’ extraction until 2021. While on the other hand, the Ministry of Health cooperates with the World Health Organization, for studying the influence of environment on human health. So the steps towards strategy development of the field have already been taken. The mining strategy should be directed to improvements in the legislative and legal field which in turn will minimize risks involved.
[1] “Role of mining in national economies” report,
[2] NIH, “Health System Performance Assessment, 2018” report,
[3] Map of the regions’ raw material mines,
[4] Official website to State Revenue Committee, lists of tax payers
[5] RA Statistical Committee data,
== Calculated molecules that have nothing to do with the piece ==
=====
Entry from the OMol25 dataset: 2 unconnected molecules or ions with the total composition C5H11B2IO4 (ωB97M-V with the def2-TZVPD basis set).

XYZ file:
```
23
Properties=species:S:1:pos:R:3:forces:R:3
O 1.0059 0.8694 3.3940 -0.0535 0.0025 0.0366
C 1.8741 0.7243 2.6005 0.0258 0.0025 0.0012
O 3.1979 0.8073 2.8736 0.0221 -0.0166 -0.0775
C 3.9248 0.3444 1.7295 0.0845 -0.0377 -0.0315
C 2.9333 0.5654 0.6047 0.1420 -0.0229 0.0157
O 1.6796 0.4470 1.2869 0.0202 -0.0354 -0.0882
H 4.8442 0.9111 1.6125 -0.0383 0.0913 0.1207
H 4.1672 -0.7101 1.8728 -0.0292 -0.0056 -0.0085
H 3.0084 1.5614 0.1677 -0.0211 0.0207 0.0268
H 2.9998 -0.1756 -0.1861 -0.1075 -0.0532 0.0243
C -3.9945 -0.9973 -0.8213 -0.1422 0.3660 -0.1798
C -3.0398 -0.1330 -1.6544 0.2540 -0.0243 0.1253
B -1.5319 -0.5576 -1.4515 0.0374 -0.1985 -0.5047
O -1.2048 -1.9068 -1.4419 -0.4244 -0.0003 0.9767
B -0.4212 0.6855 -1.2388 0.1629 0.1195 0.2386
I 1.1452 1.1617 -2.6300 -0.4122 -0.0853 0.1896
H -4.1932 -1.9574 -1.2803 0.1391 -0.2488 0.0335
H -4.9436 -0.4798 -0.7137 -0.2029 -0.0147 0.0095
H -3.6034 -1.1320 0.1825 0.0329 -0.2313 0.1701
H -3.1504 0.8981 -1.3215 -0.0188 0.2436 -0.1180
H -3.3126 -0.1432 -2.7091 -0.0631 -0.0388 -0.1854
H -0.8539 -2.1842 -0.5785 0.3420 -0.0062 -0.6970
H -0.5310 1.4014 -0.2977 0.2503 0.1736 -0.0779
```
Forces are in eV/Å.

Output
Energy, hartree: -845.5048
HOMO level, eV: -9.17
SMILES string: O=C1OCCO1.CCB(O)BI
Largest force on an atom, eV/Å: 1.1
Gap between HOMO and LUMO, eV: 8.76


# 1
{"formula": "C3H12NO", "method": "the ωB97M-V functional and the def2-TZVPD basis", "homo_lumo_gap_ev": [6.239, 9.516], "total_energy_ha": -250.49028, "lumo_ev": [-14.59, -12.05], "e_above_lowest_ev": 5.8869, "s2": 1.745, "homo_energy_ha": [-0.765, -0.793], "multiplicity": 2, "charge": 2, "elements": ["O", "N", "C", "C", "C", "H", "H", "H", "H", "H", "H", "H", "H", "H", "H", "H", "H"], "positions_angstrom": [[0.0869, 0.9907, -0.0916], [2.2823, -0.1790, -0.8004], [3.0844, -0.0047, 0.4171], [-2.4990, -0.1758, 0.8038], [-2.2972, -0.4474, -0.6859], [2.5240, 0.7671, 1.0400], [-3.0485, -0.1709, -1.3670], [-2.7408, 0.8917, 1.1005], [3.0483, -0.8414, 1.1071], [-2.0110, -1.4512, -0.8670], [4.1241, 0.3332, 0.2825], [-0.0293, 2.0061, -0.0259], [1.2804, 0.1167, -0.7102], [-3.4841, -0.7589, 1.0107], [-1.4916, 0.1213, -0.9087], [-1.4748, -0.4092, 1.2254], [2.6459, -0.7882, -1.5305]], "forces_ev_per_a": [[-0.7312, 2.2809, 0.5756], [1.3440, -0.8489, 1.9292], [-1.6508, 2.4279, 0.2708], [1.1442, 1.0708, -0.6002], [-3.0443, -2.2600, 1.3598], [0.8395, -0.6095, -0.8415], [-1.9519, -0.0090, -0.2183], [-0.3035, -0.9153, 0.8290], [0.1009, -1.0113, -0.2977], [0.6223, -1.2793, -0.7907], [-0.3367, -0.4326, -0.4385], [0.3327, -1.5981, -0.2275], [0.9712, -0.1144, -0.6118], [0.2091, 0.6948, -0.4265], [3.7125, 2.0501, -0.0785], [-1.1904, 0.3474, -0.0705], [-0.0676, 0.2062, -0.3626]]}

---

# 2
=====
[6] Armenia’s environmental statistics for 2018 and the dynamics indicator for 2014-2018,